'Tis the New Year and many people have set resolutions for 2019. Some of these people have planned these goals for days, weeks and maybe even months before jumping in headfirst into their resolutions for 2019.
I'm gonna let you in on a little secret: You don't have to wait for January 1st to start on your resolutions/goals.
Okay, maybe it's not really a secret, but it's definitely something people tend to overlook when planning new goals, whether it's a lifestyle change, a training plan or a career or fitness goal. True, some lives revolve a strict timetable, such as the academic semester. But even with the tightest and most demanding of schedules, your goals don't have to wait for the new year or month (or even week) to start your plan.
Honestly, it's more beneficial to start your planner soon after you finished setting and planning your path to your goals. Think of your goal like it's a 20 page paper with a set deadline. You know the deadline is 2 months from now. You set a schedule for setting up the paper, then writing a draft, editing it, writing a second draft, have it checked out by your peers, and you still have time to spare for sleep. Maybe, you go ahead and create a thesis, then an outline; maybe you start the introduction. Then you forget to finish the introduction, so you put it off until the next day....then the next week....then the week after...And suddenly the paper is due on the professor's desk tomorrow at 1 pm, and it's 10pm right now.
You had this awesome plan to write the greatest paper in your academic career thus far, and by not following through with your perfectly established plan, you ended up scrambling to piece together 20 pages: making the font a size 13 and the punctuation a size 14, inserting longer block quotes to take up more space....you get the gist.
Waiting to start on your plans is only just delay the start of your own personal progress that you desperately planned to the very last detail. And waiting to start will only make your goals seem more daunting and terrifying to face, and you're less likely to commit to starting or staying on your journey towards achieving them. Your anxiety levels may escalate and you become more withdrawn, or you distract yourself by starting a blog rather than facing your goals.
Here are some tips about setting goals and how you can implement them as soon as possible.
Before I go on...
You don't have to have a goal if you're involved with sport (or any other hobby for that matter).
Many people become involved with sport just because they enjoy it, and you don't have to have a goal in order to have fun. Some people (like myself) have to have goals just because they're wired that way. Others, don't want to, and enjoy sport for what it is. Be mindful of what your body says when you're active and have fun!
1) Have a clearly defined goal
Some people use "SMART" to help set their goals: (1)
- Specific: a well-defined goal will allow you to take the appropriate steps towards that goal, and it will make it seem less daunting when broken up into details. An ambiguous goal tends to have a looming effect that doesn't seem to be achievable.
- Measurable: you can track progress and success, such as dates, time, and metrics/data,
- Attainable: challenging enough to raise your personal bar, but not too challenging that it seems to impossible (but I'll talk more about this in another post)
[Misplaced crystal structures]
Material: K2NaBi
Method: DFT, PBE
State: relaxed

a = 3.8565 Å, b = 3.8565 Å, c = 14.1018 Å
α = 82.14°, β = 82.14°, γ = 60.00°
Positions (direct):
Bi 0.0000 0.0000 0.0000
K 0.0816 0.0816 0.7553
K 0.9184 0.9184 0.2447
Na 0.5000 0.5000 0.5000

E_form in eV/atom: 0.124
V in Å³/cell: 179.36
Fermi-level density of states in states/eV per atom: 0.9261
Space-group type: R-3m
- Relevant: something that relates to your personal growth and motivation
- Time Bound: specific time frame to accomplish this goal
For example: Jane is a 24 year old buisness consultant who has a 45 hour work week, never really involved in sports, but wants to run a local 5k because she was inspired by Des Liden's performance in the 2018 Boston Marathon. So she says initially, "I'm going to run a 5k someday." While this specifically mentions a 5k, and it's relevant and somewhat attainable to her goal of running a local 5k, it's not time-bound. She'll doesn't have clearly established deadline to compete in that 5k.
Try this:
"I'm going to run [insert 5k race] in 15 weeks."
This goal has a specific time-frame and have a specific event. She can use this time frame to track her progress with every day and week leading up to the event. She can even use the event as her final measurement of her progress and possible a new base for her next goal.
2) Planning the journey to your goal
Now you've set a "SMART" goal, you can plan the weeks leading to your goal. What's your sub-goal for week 1? Week 2? (etc...)
Coaches use blocks to cut up the overall training plan into specific sub-goals, which also had specific goals within each block. Breaking your goal down into smaller, bite-size pieces allows you to progress further towards your goal in the long-term without feeling overwhelmed. If you're a bit a confused, think of the pieces as checklist, containing a list of a couple of aims that need to be accomplished in that specific time-frame.
Another benefit of bite-size pieces of progress is having some leeway in your plan. As I'll mention later, sometimes you have to be a little bit flexible in your plan in case you get sick or injured, get tackled by another project, etc. Having a little bit of flexibility will allow you to stay on track on your plan in the future.
If you're setting up a training plan, either with or without the help of a coach, be sure to include a rest week every 3-5 weeks, which will allow your body to absorb all of the hard work you did in that training block. It will also help you reset mentally for your next block.
+++
Here is In2CoOF after structural relaxation from Alexandria. Energies are from GGA+U.

The structure in POSCAR format:
```
In2CoOF
1.0
4.915 0.000 0.000
0.000 3.711 0.000
0.000 0.000 4.915
F Co O In
1 1 1 2
Cartesian
0.000 1.855 0.000
0.000 0.000 0.000
2.457 1.855 2.457
0.000 0.000 2.457
2.457 0.000 0.000
```

- DFT total energy: -3.6555 eV/atom
- Fermi-level density of states: 0.30 states/eV/atom
+++
**The crystal structures stop here:**
3) Beginning your execution plan
Like I mentioned earlier, delaying your starting point is only going to delay your own growth in any aspect of your life, let it be your career, training, or personal. There are a couple of things you can do to ensure you start your progression towards your goal. Setting a definitive start date will give you time to get everything you need before you start your plan. Another useful tactic is starting as soon as possible so you don't begin to procrastinating on your own progression.
4) Sticking to your plan
Yay! You've just started. Now the most important part of any achievement is the journey that precedes it; meaning, staying on track. It's hard, especially when we're by ourselves and figure we should give ourselves an extra rest day (or week) because of that awesome work we did that week. Using your sub-goals and bite-size pieces of your plan that you initially set will help you stay on track and move towards your goal.
5) Getting back on track when life throws some curveballs
Sometimes life throws us some curve balls or we're dropped from our own personal progress. Using the little bite-size pieces from your plan, you can still execute your plan without procrastinating. You may have to take a day (or a few) off to let your body to properly recover from any overtraining, illness or any overwhelming stresses. Letting yourself get back to optimal physical and mental health will set you up to conquer any to-do lists and manage stresses in a healthy manner.
## Attached: crystal structures
## Ti5BiC (PBE)

Data for a relaxed structure of Ti5BiC.

POSCAR file:
```
Ti5BiC
1.0
-0.6510 -1.3761 5.4318
-3.0643 -4.5836 1.1928
4.9950 -7.2949 2.6762
Bi Ti C
2 10 2
Direct
0.5000 0.5000 0.2500
0.5000 0.5000 0.7500
0.4194 0.9258 0.4136
0.4195 0.9255 0.9137
0.9258 0.4194 0.9136
0.0745 0.5805 0.5863
0.0742 0.5806 0.0864
0.9255 0.4195 0.4137
0.0000 0.0000 0.7500
0.0000 0.0000 0.2500
0.5805 0.0745 0.0863
0.5806 0.0742 0.5864
0.0000 0.0000 0.0000
0.0000 0.0000 0.5000
```

* ΔE_f: -142 kJ/mol of formula units
* SG: Immm
* crystal system: orthorhombic

## RePb2SBr (PBE)

Data for a relaxed structure of RePb2SBr.

POSCAR file:
```
RePb2SBr
1.0
5.4436 0.0000 0.0000
0.0000 4.6838 0.0000
0.0000 0.0000 5.4436
Br Pb S Re
1 2 1 1
Direct
0.0000 0.5000 0.0000
0.5000 0.0000 0.0000
0.0000 0.0000 0.5000
0.5000 0.5000 0.5000
0.0000 0.0000 0.0000
```

* SG: P4/mmm
* crystal system: tetragonal
* energy relative to the elements, uncorrected: 0.545 eV/atom

## La2RuSe (PBE)

Data for a relaxed structure of La2RuSe.

POSCAR file:
```
La2RuSe
1.0
7.4705 0.0000 0.0000
0.0000 7.4705 0.0000
3.7353 3.7353 4.2182
Se La Ru
2 4 2
Direct
0.5000 0.5000 0.0000
0.2500 0.7500 0.5000
0.6619 0.1250 0.2500
0.3750 0.3381 0.7500
0.8750 0.9119 0.7500
0.0881 0.6250 0.2500
0.0000 0.0000 0.0000
0.7500 0.2500 0.5000
```

* SG: I-42d
* crystal system: tetragonal
* energy relative to the elements, uncorrected: -0.768 eV/atom

## MnSe2Cl (PBE)

Data for a relaxed structure of MnSe2Cl.

POSCAR file:
```
MnSe2Cl
1.0
-0.1222 -3.5600 -3.6917
1.9222 -3.4553 3.2684
-2.7622 -0.7584 0.8228
Mn Cl Se
1 1 2
Direct
0.0000 0.5000 0.5000
0.5000 0.0000 0.5000
0.5000 0.5000 0.0000
0.0000 0.0000 0.0000
```

* SG: P4/mmm
* crystal system: tetragonal
* excess energy over the best structure of this formula in the dataset: 885 meV/atom
* energy relative to the elements, uncorrected: 0.419 eV/atom

## GeSI (PBE)

Data for a relaxed structure of GeSI.

POSCAR file:
```
GeSI
1.0
-0.9275 3.9766 -2.9314
2.0404 -4.1376 -6.2585
-6.5010 -1.8116 3.9090
Ge S I
2 2 2
Direct
0.1193 0.6195 0.2387
0.8807 0.3805 0.7613
0.0001 0.2802 0.0003
0.9999 0.7198 0.9997
0.7184 0.7187 0.4369
0.2816 0.2813 0.5631
```

* SG: Immm
* crystal system: orthorhombic
* excess energy over the best structure of this formula in the dataset: 106 meV/atom
* energy relative to the elements, uncorrected: -0.168 eV/atom

## PrGa4Ni3 (PBE)

Data for a relaxed structure of PrGa4Ni3.

POSCAR file:
```
PrGa4Ni3
1.0
-2.2451 1.7691 2.9775
-1.5891 -3.6790 0.9877
5.8288 -1.1538 5.0806
Pr Ni Ga
1 3 4
Direct
0.0000 0.0000 0.5000
0.5000 0.5000 0.6514
0.5000 0.5000 0.3486
0.0000 0.0000 0.0000
0.0000 0.5000 0.1752
0.5000 0.0000 0.8248
0.0000 0.5000 0.8248
0.5000 0.0000 0.1752
```

* ΔE_f: -341 kJ/mol of formula units
* SG: P4/mmm
* crystal system: tetragonal

## Th2MgCo (PBE)

Data for a relaxed structure of Th2MgCo.

POSCAR file:
```
Th2MgCo
1.0
-3.0014 -1.4936 1.7056
0.4626 -2.4711 2.7979
-0.8167 6.3093 8.2360
Th Mg Co
2 1 1
Direct
0.1146 0.1146 0.6562
6) Enjoy the process!
Sure, the destination or your end goal, is your target for a certain period of time, but don't forget to enjoy the journey there. While attempting to reach the top of Mount Washington with friends might be the destination of a spontaneous road-trip, the actual road-trip itself and the hike are what make up the bulk of your time, and make the most interesting memories. So don't be afraid to take a look around, take a breather, or go off on a tangent. It makes your journey a little bit more unique.
7) Reaching the end of your journey
You've finally achieved your goal! Congrats! You must feel ecstatic, relieved, and happy (most likely). Cherish these emotions as you go into your next week or two.
8) Beyond your goals
A couple of weeks have gone by and some of you may feel lost, as if you have no idea where to go from here. Take this time to reflect your own journey, the lessons you've learned, and see how you can continue to use them. Maybe, you can set another goal in the same realm in your life, such as training or work. Or you can set another challenge. For example, rather than completing longer distance triathlon, you want to climb all of the 4000+ footers in New England. Life is full of challenges and everyone has this amazing potential achieve their best. As Matt Dixon on the Purple Patch Fitness podcast said, "The best results arrive from pursuits of personal excellence" (EP 36 "A Championship Mindset").
Now you know how to make those resolutions into your personal revolutions. Go out there and enjoy the journey!
References and Links:
More Info about setting SMART goals:
Purple Patch Fitness Podcast, Ep 36 "A Championship Mindset"